There is a rooted tree with N nodes (numbered 1 through N); node '1' is the root. Each node has a value; let's denote the value of node i by A(i).
The following operation(s) can be performed any number of times (including zero):
1.choose any node which still exists in the tree and remove the whole sub- tree of this node including itself.
2.Let's define the profit as the sum of values of all nodes which currently exist in the tree minus X⋅k, where k denotes the number of times this operation was performed. Find the maximum possible profit.
How can we calculate 'k' value here?(means no. of time node is deleted to give optimum profit)
3(number of nodes,N) ,
1 -5 -10 (Values of corresponding nodes)
(edge(s) from 'x'->'y')
1 2
2 3
Output: -4
We remove the sub-tree of node : 2'.
Now,value of our tree is: 1.
Finals answer:- 1-(x)*k,
(k=1); as we have performed the operation of removing the sub-tree only '1' time
: 1-(5)*1= -4.
NOTE:it's not given that tree should be binary it can be a general tree too.
There's a straightforward recursive algorithm for this. The most profitable pruning you can perform on a tree is either to perform the most profitable pruning on all of its direct subtrees, or to just prune away the whole tree. This can be translated directly to code.
Assuming the tree has been processed into a data structure where every node has a
attribute representing the node's value and achildren
attribute storing a list of the node's child nodes, the following Python function would compute the max profit:with the two options in the
call representing the choice to either prune the whole tree away at the root, or to keep the root and process the subtrees.The idea is to parse the tree, and see which subtree could be removed such that the profit will increase compared to its initial state. Do this analysis for every node before removing anything. Then, remove the subtrees that increases the most the profit. We can do it in two passes:
1) Doing a depth-first traversal of the tree (leaves first, then slowly going back towards the root), calculate the profit gain of each node as the
, wherei
is the current node, andj,k,...
are the children. In other words, the profit gain is the added value if we remove the current node.During the same traversal, also compute the maximum profit gain of the node and its children. This will tell us if it is more profitable to remove a node or if it is more profitable to remove a subtree of this node. We compute the maximum profit gain as
M(i) = max(G(i),M(j),M(k),...)
, wherei,j,k,...
are defined as above. If a child does not exist, just remove it from themax
-- Next to the article, the page also holds records of molecules --
'''
[1]
The following is a quantum chemistry calculation of a cluster of 6 separate species, C10H32O11 in total, from OMol25.

Computed properties:
SMILES string: OCCO.OCCO.OCCO.OCCO.OCCO.O
Kohn-Sham gap (Eh): 0.39062
Charge: 0
E_tot (eV): -33409.157
Spin multiplicity: 1
ΔE to the lowest compared entry with this formula, charge and spin (kcal per mole): 0.0
Lowest unoccupied orbital energy (eV): 0.64

The geometry in XYZ format:
```
53
Properties=species:S:1:pos:R:3:forces:R:3
C 1.749 2.507 -2.962 -0.75 -1.41 0.67
C 0.867 1.893 -1.816 0.25 2.31 0.10
O -0.420 2.532 -1.921 0.16 0.13 -0.13
O 1.073 2.517 -4.210 0.30 -0.01 0.51
H 2.682 1.952 -3.039 0.00 -0.28 -0.20
H 2.035 3.490 -2.654 -0.01 0.95 0.16
H 1.362 2.214 -0.856 -0.38 -0.62 -0.64
H 0.670 0.850 -1.856 0.53 -1.10 -0.23
H -1.053 2.041 -1.367 0.33 0.14 0.03
H 0.179 2.766 -3.945 -0.28 -0.01 -0.28
C -2.787 0.190 -0.153 -0.69 0.13 0.11
C -3.117 0.267 -1.620 -0.83 -1.44 -0.22
O -2.022 -0.411 -2.273 -0.64 1.17 -1.09
O -1.636 0.931 0.105 1.66 0.40 0.33
H -2.662 -0.856 0.194 -0.29 0.48 -0.26
H -3.583 0.709 0.388 -0.13 -0.43 0.17
H -3.274 1.301 -1.981 0.41 -0.41 0.24
H -4.087 -0.296 -1.800 0.99 0.54 0.05
H -1.895 0.023 -3.141 0.17 -0.51 0.56
H -0.818 0.380 0.044 -0.49 0.07 0.35
C 0.134 -3.811 3.738 -1.59 0.25 0.12
C 0.060 -2.418 4.287 0.36 0.79 -0.64
O 0.506 -1.498 3.298 0.02 1.00 0.63
O -0.662 -3.906 2.559 0.39 -0.34 0.04
H -0.220 -4.481 4.524 0.02 -0.31 0.00
H 1.099 -4.113 3.431 1.17 -0.05 -0.11
H 0.649 -2.253 5.184 0.16 -0.42 0.37
H -0.960 -2.099 4.485 -0.50 -0.59 0.41
H 0.191 -0.636 3.655 0.42 -0.32 -1.05
H -1.577 -3.810 2.810 -0.44 0.07 0.05
C -0.023 2.274 3.521 0.62 -1.20 2.31
C 0.975 2.880 2.558 -0.18 -0.11 1.28
O 2.041 1.988 2.348 -0.32 -0.15 -0.66
O -0.657 1.101 2.997 -0.17 0.88 -0.16
H -0.749 2.969 4.025 0.46 -0.33 -0.91
H 0.601 1.837 4.384 -0.75 0.88 -1.08
H 1.324 3.795 3.005 0.50 0.39 0.22
H 0.524 3.158 1.638 -0.68 0.24 -1.11
H 1.648 1.338 1.736 0.55 -0.33 0.24
H -1.055 1.367 2.153 -0.15 -0.46 -0.09
C 1.597 -1.530 -3.806 0.93 -0.21 -1.85
C 0.640 -2.413 -3.065 -1.44 -0.55 -0.49
O 0.258 -1.878 -1.791 0.71 -0.06 -0.08
O 0.870 -0.470 -4.443 -0.69 -1.57 1.23
H 2.311 -1.988 -4.596 -1.56 -0.15 1.04
H 2.305 -1.236 -3.064 0.50 1.10 0.78
H 1.137 -3.382 -2.852 -0.52 0.44 -0.21
H -0.289 -2.534 -3.716 1.11 -0.25 0.78
H -0.480 -1.245 -1.832 0.11 -0.39 -0.53
H 1.499 0.158 -4.724 0.86 1.54 -0.58
O 0.812 -0.432 0.776 0.04 0.67 -0.22
H 0.821 -1.007 1.575 0.12 -0.06 -0.60
H 1.407 -0.726 0.065 -0.41 -0.45 0.62
```
Positions in Å, forces in eV/Å.
'''
equation.2) Doing a breadth-first traversal of the tree, we remove a node
(and its subtree) ifG(i) == M(i)
andG(i) >= X